Immanuel: Peace Bringer | Dave Mitchell | 8th December 2024 at 7pm

Immanuel Series

God with us

People often go home for Christmas. No matter how many messages, virtual meetings, or posted cards and gifts - there is nothing like someone’s actual physical presence in the room. When someone you love comes home, tears often flow. Human beings are wired for this — we are reassured and filled with joy by touching, hearing and seeing someone in our time and space. When Jesus entered into human history he entered our reality, our circumstances, our families, our work lives, our most secret and public lives. And it changed everything.

This series aims to explore the mystery of Jesus entering our world.

Immanuel Series: Peace Bringer | Dave Mitchell | 8th December 2024 at 11am

Immanuel Series

God with us

People often go home for Christmas. No matter how many messages, virtual meetings, or posted cards and gifts - there is nothing like someone’s actual physical presence in the room. When someone you love comes home, tears often flow. Human beings are wired for this — we are reassured and filled with joy by touching, hearing and seeing someone in our time and space. When Jesus entered into human history he entered our reality, our circumstances, our families, our work lives, our most secret and public lives. And it changed everything.

This series aims to explore the mystery of Jesus entering our world.

Immanuel Series: God with us | Dave Mitchell | 1st December 2024 at 11am

Immanuel Series

God with us

People often go home for Christmas. No matter how many messages, virtual meetings, or posted cards and gifts - there is nothing like someone’s actual physical presence in the room. When someone you love comes home, tears often flow. Human beings are wired for this — we are reassured and filled with joy by touching, hearing and seeing someone in our time and space. When Jesus entered into human history he entered our reality, our circumstances, our families, our work lives, our most secret and public lives. And it changed everything.

This series aims to explore the mystery of Jesus entering our world.

Immanuel: God with Us | Rachell Riddall | 1st December 2024 at 6.30pm

Immanuel Series

God with us

People often go home for Christmas. No matter how many messages, virtual meetings, or posted cards and gifts - there is nothing like someone’s actual physical presence in the room. When someone you love comes home, tears often flow. Human beings are wired for this — we are reassured and filled with joy by touching, hearing and seeing someone in our time and space. When Jesus entered into human history he entered our reality, our circumstances, our families, our work lives, our most secret and public lives. And it changed everything.

This series aims to explore the mystery of Jesus entering our world.

Immanuel Series

Immanuel Series

God with us

Therefore the Lord himself will give you a sign:
The virgin will conceive and give birth to a son, and will call him Immanuel.
- Isaiah 7:14

Behold, the virgin shall conceive and bear a son, and they shall call his name
Immanuel, which means, God with us.
- Matthew 1:23

People often go home for Christmas. No matter how many messages, virtual meetings, or posted cards and gifts - there is nothing like someone’s actual physical presence in the room. When someone you love comes home, tears often flow. Human beings are wired for this — we are reassured and filled with joy by touching, hearing and seeing someone in our time and space. When Jesus entered into human history he entered our reality, our circumstances, our families, our work lives, our most secret and public lives. And it changed everything.

Perhaps still reeling from the experience he had just been through John started his letter with these words about Jesus: We proclaim to you the one who existed from the beginning, whom we have heard and seen. We saw him with our own eyes and touched him with our own hands. He is the Word of life.
- 1 John 1:1 NLT

C. S Lewis called earth ‘the visited planet’. This Christmas amongst the busyness and festivities we are taking time to ponder again the profound mystery of Jesus entry into our world. He is “Immanuel” which means “God is with us”.

Here’s what we’re hearing about each week in our messages on Sundays:

  • 1st December: God With Us

  • 8th December: Peace Bringer

  • 15th December: Life Giver

Download our discussion notes to go deeper with the topics each week. This also includes recommended reading and a video to watch as well:


Volunteer Opportunity: Newcomers Admin

The Woodlands Church Family (WCF) is a vibrant, growing family of churches with seven sites located across the city of Bristol and a vision to plant more.

We are recruiting for volunteers to join our Newcomers Team to support the assimilation of new people to Woodlands Central. We’d love to hear from you if you’re interesting being part of the team.


We are looking for administrative support for the Newcomers team. Ideally we would like someone who could commit to helping us 3 to 4 hours on a Monday and/or Tuesday, after our newcomers events. These happen once or twice each month on Sundays.

Key areas of work include:

  • Administer the newcomers process by submitting new contact cards, inviting people to newcomer’s events and managing the process flow.

  • Process newcomers after events, including uploading forms and photos to our database. 

Personal attributes and key skills

  • Strong administration skills with an eye for detail

  • Good written communication skills

### The piece is interrupted by calculated crystals
+++
Entry 1:
Compound: MoAsS2N
Source: Alexandria via LeMat-Bulk
Functional: PBE
Structure: optimized geometry

Results
SG   P4/mmm
Crystal system   tetragonal
Energy   -5.30 eV per atom
Total magnetization   3.37 μB/cell

a = 4.8199 Å, b = 4.8199 Å, c = 3.5800 Å
α = 90.00°, β = 90.00°, γ = 90.00°
Last column: nearest neighbours and their distance in Å.
Fractional coordinates of all 5 atoms:
Mo 0.0000 0.0000 0.0000  8 S 3.00
As 0.5000 0.5000 0.5000  2 N 1.79
S 0.0000 0.5000 0.5000  2 As 2.41
S 0.5000 0.0000 0.5000  2 As 2.41
N 0.5000 0.5000 0.0000  2 As 1.79

***

Entry 2:
Compound: MoAsS2N
Source: Alexandria via LeMat-Bulk
Functional: PBE
Structure: optimized geometry

Results
SG   P4/mmm
Crystal system   tetragonal
Energy   -6.02 eV per atom
Total magnetization   0.00 μB/cell

a = 4.8372 Å, b = 4.8372 Å, c = 3.7707 Å
α = 90.00°, β = 90.00°, γ = 90.00°
Last column: nearest neighbours and their distance in Å.
Fractional coordinates of all 5 atoms:
Mo 0.0000 0.0000 0.0000  2 N 1.89
As 0.5000 0.5000 0.5000  8 S 3.07, 4 N 3.42
S 0.0000 0.5000 0.0000  2 Mo 2.42
S 0.5000 0.0000 0.0000  2 Mo 2.42
N 0.0000 0.0000 0.5000  2 Mo 1.89

***

Entry 3:
Compound: MoAs2SN
Source: Alexandria via LeMat-Bulk
Functional: PBE
Structure: optimized geometry

Results
SG   P4/mmm
Crystal system   tetragonal
Energy   -5.35 eV per atom
Total magnetization   1.84 μB/cell

a = 4.9324 Å, b = 4.9324 Å, c = 3.2730 Å
α = 90.00°, β = 90.00°, γ = 90.00°
Last column: nearest neighbours and their distance in Å.
Fractional coordinates of all 5 atoms:
Mo 0.0000 0.0000 0.0000  8 As 2.96, 2 Mo 3.27
As 0.0000 0.5000 0.5000  2 S 2.47
As 0.5000 0.0000 0.5000  2 S 2.47
S 0.5000 0.5000 0.5000  2 N 1.64
N 0.5000 0.5000 0.0000  2 S 1.64

***

Entry 4:
Compound: MoAs2SeN
Source: Alexandria via LeMat-Bulk
Functional: PBE
Structure: optimized geometry

Results
SG   P4/mmm
Crystal system   tetragonal
Energy   -5.09 eV per atom
Total magnetization   2.33 μB/cell

a = 4.9196 Å, b = 4.9196 Å, c = 4.8729 Å
α = 90.00°, β = 90.00°, γ = 90.00°
Last column: nearest neighbours and their distance in Å.
Fractional coordinates of all 5 atoms:
Mo 0.0000 0.0000 0.0000  2 Se 2.44, 4 As 2.46
As 0.0000 0.5000 0.0000  2 Mo 2.46
As 0.5000 0.0000 0.0000  2 Mo 2.46
Se 0.0000 0.0000 0.5000  2 Mo 2.44
N 0.5000 0.5000 0.5000  8 As 3.46, 4 Se 3.48

***

Entry 5:
Compound: MoAsSeN2
Source: Alexandria via LeMat-Bulk
Functional: PBE
Structure: optimized geometry

Results
SG   P4/mmm
Crystal system   tetragonal
Energy   -6.49 eV per atom
Total magnetization   0.69 μB/cell

a = 3.9193 Å, b = 3.9193 Å, c = 5.3507 Å
α = 90.00°, β = 90.00°, γ = 90.00°
Last column: nearest neighbours and their distance in Å.
Fractional coordinates of all 5 atoms:
Mo 0.0000 0.0000 0.0000  4 N 1.96
As 0.5000 0.5000 0.5000  4 Se 2.77
Se 0.0000 0.0000 0.5000  2 Mo 2.68, 4 As 2.77
N 0.0000 0.5000 0.0000  2 Mo 1.96
N 0.5000 0.0000 0.0000  2 Mo 1.96

***

Entry 6:
Compound: MoAsSeN2
Source: Alexandria via LeMat-Bulk
Functional: PBE
+++

  • Administering confidential information in line with our Data Protection Policy

  • Team player

Our volunteer roles require a commitment to be a follower of Jesus and a worshipping member of the Woodlands Church Family.

Support for this voluntary role

  • In-house training on Data Protection and use of ChurchSuite database

  • Open invitation to join in with our wider team meetings on Monday mornings where we gather together, worship, share good news stories and pray for one another.

Interested? Get in touch!
Please contact our Newcomers Team by emailing for an opportunity to meet and discuss the role further.

Calling all Christmas Choir & Brass Player

We’re getting ready for Christmas at Woodies and are looking for people to join our choir and brass band for the Carols by Candlelight services happening on:

14th December (7pm)
15th December (5pm & 7pm)

Choir rehearsals will be on Monday nights in the Upper Hall from 7.30pm - 9pm on the following dates: 
11th November  
18th November
25th November
(No rehearsal 2nd December due to the 'Big Singalong' rehearsal) 
9th December

Would you like to get involved?
Find out how below…

For the Christmas choir, ideally you’d have the ability to read music and some experience of singing in a choir. This is helpful, but not essential. You do have to be able to sing in tune and hold a part.
Email our Worship Pastor Jo Demcolli for more information.

If you are a a brass player at a grade 7 standard or higher, please get in touch with Nigel Savage for more information.

What's So Amazing About Grace? Series

What’s So Amazing About Grace? Series

What does living in God’s grace look like?

Grace is the foundation for so much of the Christian life.

In John’s gospel, we read:
’From his fullness we have all received grace upon grace. For the law was given through Moses; grace and truth came through Jesus Christ.’

We live in a time where ideas around grace and truth are hotly debated. This series explores how the bible’s ancient wisdom is still relevant, powerful and essential, as we navigate following Jesus in our complex world.

Here’s what we’re hearing about each week in our messages on Sundays:

  • 3rd November: My Truth Your Truth

  • 10th November: Amazing Grace

  • 17th November: The Grace Givers

  • 24th November: 21st Century Grace

Download our discussion notes to go deeper with the topics each week. This also includes recommended reading and a video to watch as well:


Coming soon!

Tiny Treasures Toddlers

At Woodlands Church, our very popular Tiny Treasures Toddlers group meets weekly on Wednesdays, from 10am to 11.30am during term time.

Our friendly and relaxed church-run toddler group is a great place for parents / primary carers to meet one another and enjoy time with their babies, toddlers and pre-schoolers.

We are looking forward to getting to know you and your little one/s better. Our hope is that we can support and encourage you during your mornings with us.

Many of our Tiny Treasures team are volunteers from Woodlands Church and anyone on the team will always be ready to listen and pray for you if you would like that.

At Tiny Treasures toddlers we will:

  • Provide a safe and happy environment for children to play, learn and interact.

  • Be a welcoming place for all parents and carers to make friends and feel supported.

  • Show the love of God in our community.

  • Care for the whole child and parent/carer – physically, emotionally and spiritually.

What to expect

On arrival, you will be greeted by a member of our welcome team. If you’re new, they will ask you to fill out a registration form.

A donation of £2.50 per family with up to two children, then 50p for each additional child. If cost is prohibitive for you, please speak to a member of the team.

Please park your buggies on the far side in the Main Hall towards the rear.

The piece is interrupted by crystal structures >
____________
Record 1
# PrEu2Ga

Crystalline PrEu2Ga at its relaxed geometry (GGA-PBE, the Alexandria database).

```
PrEu2Ga
1.0
0.0000 3.9230 3.9230
3.9230 0.0000 3.9230
3.9230 3.9230 0.0000
Pr Eu Ga
1 2 1
direct
0.0000 0.0000 0.0000 Pr
0.2500 0.2500 0.2500 Eu
0.7500 0.7500 0.7500 Eu
0.5000 0.5000 0.5000 Ga
```

Computed properties:
Electronic total energy in eV/atom: -7.117
Volume in A^3/atom: 30.2
Polymorph energy (0 for the lowest one) in eV per formula unit: 0.65
ρ in g cm⁻³: 7.1


Record 2
# MnBe2Rh

Crystalline MnBe2Rh at its relaxed geometry (GGA-PBE, the Alexandria database).

```
MnBe2Rh
1.0
0.0000 2.7641 2.7641
2.7641 0.0000 2.7641
2.7641 2.7641 0.0000
Mn Be Rh
1 2 1
direct
0.0000 0.0000 0.0000 Mn
0.2500 0.2500 0.2500 Be
0.7500 0.7500 0.7500 Be
0.5000 0.5000 0.5000 Rh
```

Computed properties:
Electronic total energy in eV/atom: -6.414
Volume in A^3/atom: 10.6
Polymorph energy (0 for the lowest one) in eV per formula unit: 0.00
ρ in g cm⁻³: 6.9


Record 3
# Ca2BeTlSi

Crystalline Ca2BeTlSi at its relaxed geometry (GGA-PBE, the Alexandria database).

```
Ca2BeTlSi
1.0
5.6178 0.0000 0.0000
0.0000 5.6178 0.0000
0.0000 0.0000 5.2160
Ca Be Tl Si
2 1 1 1
direct
0.0000 0.5000 0.0000 Ca
0.5000 0.0000 0.0000 Ca
0.0000 0.0000 0.5000 Be
0.5000 0.5000 0.5000 Tl
0.5000 0.5000 0.0000 Si
```

Computed properties:
Electronic total energy in eV/atom: -2.622
Volume in A^3/atom: 32.9
ρ in g cm⁻³: 3.2
E_form (uncorrected) in eV per formula unit: 2.4


Record 1
Compound: Ca2ScMnIn
Source: the Alexandria database
Functional: GGA-PBE
Structure: relaxed Values from VASP.

Magnetization = 3.0 μB per cell
Mass density = 2.66 g/cm³
DFT formation energy = 94 kJ per mole of atoms

```
&SYSTEM
  ibrav = 0, nat = 5, ntyp = 4
/
ATOMIC_SPECIES
Sc 44.96 Sc.upf
Ca 40.08 Ca.upf
Mn 54.94 Mn.upf
In 114.82 In.upf
CELL_PARAMETERS angstrom
5.818 0.000 0.000
0.000 5.440 0.000
0.000 0.000 5.818
ATOMIC_POSITIONS crystal
Sc 0.000 0.000 0.000
Ca 0.000 0.000 0.500
Ca 0.500 0.000 0.000
Mn 0.500 0.500 0.500
In 0.000 0.500 0.000
```

Record 2
Compound: CaMn2InSe
Source: the Alexandria database
Functional: GGA-PBE
Structure: relaxed Values from VASP.

Magnetization = 9.1 μB per cell
Uncorrected energy = -22.3 eV per cell
Mass density = 2.71 g/cm³

```
&SYSTEM
  ibrav = 0, nat = 5, ntyp = 4
/
ATOMIC_SPECIES
Ca 40.08 Ca.upf
Mn 54.94 Mn.upf
Se 78.96 Se.upf
In 114.82 In.upf
CELL_PARAMETERS angstrom
-4.625 0.183 -3.510
2.834 -3.237 -3.903
-2.232 -5.175 2.671
ATOMIC_POSITIONS crystal
Ca 0.500 0.500 0.500
Mn 0.000 0.500 0.000
Mn 0.500 0.000 0.000
Se 0.000 0.000 0.500
In 0.000 0.000 0.000
```

Record 3
Compound: CaMnIn4Se8
Source: the Alexandria database
Functional: GGA-PBE
Structure: relaxed Values from VASP.

Magnetization = 4.9 μB per cell
Uncorrected energy = -59.2 eV per cell
Mass density = 5.05 g/cm³

```
&SYSTEM
  ibrav = 0, nat = 14, ntyp = 4
/
ATOMIC_SPECIES
Ca 40.08 Ca.upf
Mn 54.94 Mn.upf
In 114.82 In.upf
Se 78.96 Se.upf
CELL_PARAMETERS angstrom
8.247 0.000 0.000
4.124 7.142 0.000
____________

Tea and Coffee:
Hot drinks are available throughout the morning - any time you would like! Please bring a keep cup with a lid to keep all the little ones safe, and make sure to have a chat with our friendly refreshments team!

Snack time:
Snacks will be served at 10.45am in the foyer. Please keep snacks out of the main hall and do let us know if your child has any allergies or intolerances. It would help our refreshments team if you could clear your cups and plates after snack time.

Nappy changing facilities can be found in the Disabled toilet at the rear of the main hall.

In case of fire:
In the event of a continuous fire alarm sounding, please leave the building by your nearest exit with your children and assemble at the assembly point across the road.

Eyes Peeled!:
Our team will always keep a watchful eye on children as they play, however children will always remain the full responsibility of their parent/carer at all times.

Tidy Up Time:
It would really help us if you could help tidy the toys when the bell sounds for tidy up time.

Singing Time:
We love singing and dancing! We finish each session with a time of singing and story telling. Once a term we will a focus this around a specific holiday or event and one of our church team will join us.

Join our Parent Team:
We would love some parent volunteers on our team. This may mean that you help with setting out the toys, bake for snack time, facilitate craft, sweep the hall or even help lead the singing. Please speak to a member of the team if you are able to help in any way.

The Last Word:
Wondering why our logo is a pearl, or why we are called Tiny Treasures Toddlers? We believe that your children are treasures, loved and valued by God.

In the Bible, in the book of Matthew, we read about a merchant looking for beautiful pearls, but he found just one single pearl of such value that he sold everything he had just to have it. We believe that there is treasure far greater than we can see here on earth. To find out more, please speak to a member of the team.

Get in touch:
If you have any questions/feedback or prayer requests, please email the toddler team at Woodlands Church.

Jesus Stories: The Kingdom of God is a Party | Jo Demcolli | 29th September 2024 at 6.30pm

Jesus was a master storyteller. Twenty-one centuries on, his stories are still timeless and provocative, but they were also deeply relevant and challenging in the surrounding culture of his day.

This September, our series Jesus Stories highlights five well known parables told by Jesus to explain the unique dynamics of the kingdom of God. It's teaching that is designed to both reassure us and get under our skin!

**Unrelated to this article: records of crystals:**
+++
The following is a GGA-PBE calculation of a geometry-optimized YP structure, from the Alexandria database.

Output
- Volume: 23.353 Å³/atom
- Raw total energy: -7.40 eV per atom
- Magnetization: 0.00 Bohr magnetons per cell
- Symmetry: R3m (160)
- E_form: -1.460 eV/atom

Cell lengths 7.194, 7.194, 7.194 Å; angles 32.10, 32.10, 32.10 degrees
Element x y z (fractional)
Y (0.000, 0.000, 0.000)
Y (0.172, 0.172, 0.172)
P (0.585, 0.585, 0.585)
P (0.753, 0.753, 0.753)

***

The following is a GGA-PBE calculation of a geometry-optimized LaCdIn structure, from the Alexandria database.

Output
- Volume: 29.928 Å³/atom
- Raw total energy: -3.19 eV per atom
- Magnetization: 0.00 Bohr magnetons per cell
- Symmetry: R3m (160)
- E_form: -0.330 eV/atom

Cell lengths 8.714, 8.714, 8.714 Å; angles 33.50, 33.50, 33.50 degrees
Element x y z (fractional)
La (0.000, 0.000, 0.000)
La (0.165, 0.165, 0.165)
Cd (0.582, 0.582, 0.582)
Cd (0.877, 0.877, 0.877)
In (0.431, 0.431, 0.431)
In (0.737, 0.737, 0.737)

***

The following is a GGA-PBE calculation of a geometry-optimized Zn7Si6 structure, from the Alexandria database.

Output
- Volume: 16.040 Å³/atom
- Raw total energy: -2.80 eV per atom
- Magnetization: 0.00 Bohr magnetons per cell
- Symmetry: R-3m (166)
- Energy relative to the elements, uncorrected: 0.393 eV/atom

Cell lengths 10.079, 10.079, 10.079 Å; angles 28.68, 28.68, 28.68 degrees
Element x y z (fractional)
Zn (0.000, 0.000, 0.000)
Zn (0.087, 0.087, 0.587)
Zn (0.087, 0.587, 0.087)
Zn (0.413, 0.913, 0.913)
Zn (0.587, 0.087, 0.087)
Zn (0.913, 0.413, 0.913)
Zn (0.913, 0.913, 0.413)
Si (0.167, 0.167, 0.167)
Si (0.333, 0.333, 0.333)
Si (0.455, 0.455, 0.455)
Si (0.545, 0.545, 0.545)
Si (0.667, 0.667, 0.667)
Si (0.833, 0.833, 0.833)

***

The following is a GGA-PBE calculation of a geometry-optimized LiMg3Al2 structure, from the Alexandria database.

Output
- Volume: 19.652 Å³/atom
- Raw total energy: -2.39 eV per atom
- Magnetization: 0.00 Bohr magnetons per cell
- Symmetry: Cmmm (65)
- E_form: -0.030 eV/atom

Cell lengths 6.818, 6.818, 4.283 Å; angles 90.00, 90.00, 143.69 degrees
Element x y z (fractional)
Li (0.000, 0.000, 0.000)
Mg (0.167, 0.833, 0.500)
Mg (0.500, 0.500, 0.500)
Mg (0.833, 0.167, 0.500)
Al (0.325, 0.675, 0.000)
Al (0.675, 0.325, 0.000)

***

The following is a GGA-PBE calculation of a geometry-optimized La2Mn2Fe structure, from the Alexandria database.

Output
- Volume: 21.029 Å³/atom
- Raw total energy: -6.94 eV per atom
- Magnetization: 13.93 Bohr magnetons per cell
- Symmetry: P4/mbm (127)
- E_form: 0.391 eV/atom

Cell lengths 6.786, 6.786, 4.566 Å; angles 90.00, 90.00, 90.00 degrees
Element x y z (fractional)
La (0.177, 0.323, 0.000)
La (0.323, 0.823, 0.000)
La (0.677, 0.177, 0.000)
La (0.823, 0.677, 0.000)
Mn (0.141, 0.641, 0.500)
Mn (0.359, 0.141, 0.500)
Mn (0.641, 0.859, 0.500)
Mn (0.859, 0.359, 0.500)
Fe (0.000, 0.000, 0.500)
Fe (0.500, 0.500, 0.500)

***
+++

The purpose of this series is to explore the teaching of Jesus on what it means to be a disciple and a citizen of His Kingdom. Come on the journey with us either in person or on the weekly livestream.

Jesus Stories: The Kingdom of God is a Party | Clare Thompson | 29th September 2024 at 11am

Jesus was a master storyteller. Twenty-one centuries on, his stories are still timeless and provocative, but they were also deeply relevant and challenging in the surrounding culture of his day.

This September, our series Jesus Stories highlights five well known parables told by Jesus to explain the unique dynamics of the kingdom of God. It's teaching that is designed to both reassure us and get under our skin!

The purpose of this series is to explore the teaching of Jesus on what it means to be a disciple and a citizen of His Kingdom. Come on the journey with us either in person or on the weekly livestream.

Jesus Stories: Unmerciful Servant | Tim Dobson | 22nd September 2024 at 6.30pm

Jesus was a master storyteller. Twenty-one centuries on, his stories are still timeless and provocative, but they were also deeply relevant and challenging in the surrounding culture of his day.

This September, our series Jesus Stories highlights five well known parables told by Jesus to explain the unique dynamics of the kingdom of God. It's teaching that is designed to both reassure us and get under our skin!

The purpose of this series is to explore the teaching of Jesus on what it means to be a disciple and a citizen of His Kingdom. Come on the journey with us either in person or on the weekly livestream.

Jesus Stories: Unmerciful Servant | Nigel Savage | 22nd September 2024 at 11am

Jesus was a master storyteller. Twenty-one centuries on, his stories are still timeless and provocative, but they were also deeply relevant and challenging in the surrounding culture of his day.

This September, our series Jesus Stories highlights five well known parables told by Jesus to explain the unique dynamics of the kingdom of God. It's teaching that is designed to both reassure us and get under our skin!

The purpose of this series is to explore the teaching of Jesus on what it means to be a disciple and a citizen of His Kingdom. Come on the journey with us either in person or on the weekly livestream.

The Way Series

The Way Series

Thoughts on being a disciple and follower of Jesus

How did Jesus make disciples?

Jesus’ priority was to make disciples who made disciples. The challenge to make disciples of ‘all nations’ was one given to the Church - and it is still our mission 2,000 years later. So we’re exploring what is a disciple, how do we become one and help others along The Way?

We’ll be looking at how Jesus made disciples so we can learn from his ancient ways in how we live our life today. Here’s what we’re hearing about each week in our messages on Sundays:

  • 6th October: Follow

  • 13th October: Close

  • 20th October: Act

  • 27th October: Gather

Download our discussion notes to go deeper with the topics each week. This also includes recommended reading and videos to watch as well: